Data:
Here is crystalline MnBi at its relaxed geometry from the Materials Project database. Energies are from PBE.

Unit cell a=4.320 b=4.320 c=5.745 alpha=90.00 beta=90.00 gamma=120.00
Positions (direct):
1 Mn 0.000 0.000 0.500
2 Mn 0.000 0.000 0.000
3 Bi 0.333 0.667 0.750
4 Bi 0.667 0.333 0.250

- calculated volume (Å³/cell) = 93
- formation energy from the elements (kJ per mole of atoms) = 20.1
- SG = P6_3/mmc (194)
- crystal system = hexagonal

Here is crystalline CaSiO3 at its relaxed geometry from the Materials Project database. Energies are from PBE.

Unit cell a=5.115 b=5.115 c=5.115 alpha=120.47 beta=120.47 gamma=89.18
Positions (direct):
1 O 0.250 0.250 0.000
2 O 0.278 0.222 0.500
3 O 0.750 0.750 0.000
4 O 0.778 0.278 0.056
5 O 0.722 0.778 0.500
6 O 0.222 0.722 0.944
7 Ca 0.750 0.250 0.500
8 Ca 0.250 0.750 0.500
9 Si 0.000 0.000 0.000
10 Si 0.500 0.500 0.000

- calculated volume (Å³/cell) = 94
- formation energy from the elements (kJ per mole of atoms) = -309.4
- SG = I4/mcm (140)
- crystal system = tetragonal

Here is crystalline Cs2CuMoCl6 at its relaxed geometry from the Materials Project database. Energies are from PBE.

Unit cell a=7.227 b=7.227 c=7.227 alpha=60.00 beta=60.00 gamma=60.00
Positions (direct):
1 Cl 0.745 0.745 0.255
2 Cl 0.255 0.745 0.745
3 Cl 0.745 0.255 0.255
4 Cl 0.255 0.745 0.255
5 Cl 0.255 0.255 0.745
6 Cl 0.745 0.255 0.745
7 Cs 0.250 0.250 0.250
8 Cs 0.750 0.750 0.750
9 Cu 0.000 0.000 0.000
10 Mo 0.500 0.500 0.500

- calculated volume (Å³/cell) = 267
- formation energy from the elements (kJ per mole of atoms) = -150.9
- SG = Fm-3m (225)
- crystal system = cubic

Here is crystalline CoH12C2Br4N2 at its relaxed geometry from the Materials Project database. Energies are from PBE.

Unit cell a=8.204 b=13.409 c=11.599 alpha=90.00 beta=96.37 gamma=90.00
Positions (direct):
1 Br 0.245 0.617 0.233
2 Br 0.014 0.380 0.126
3 Br 0.692 0.635 0.580
4 Br 0.308 0.365 0.420
5 Br 0.014 0.120 0.626
6 Br 0.692 0.865 0.080
7 Br 0.308 0.135 0.920
8 Br 0.504 0.892 0.372
9 Br 0.755 0.117 0.267
10 Br 0.504 0.608 0.872
11 Br 0.245 0.883 0.733
12 Br 0.755 0.383 0.767
13 Br 0.986 0.880 0.374
14 Br 0.496 0.108 0.628
15 Br 0.986 0.620 0.874
16 Br 0.496 0.392 0.128
17 H 0.284 0.800 0.924
18 H 0.801 0.663 0.083
19 H 0.749 0.953 0.795
20 H 0.326 0.066 0.417
21 H 0.720 0.276 0.961
22 H 0.418 0.684 0.542
23 H 0.674 0.934 0.583
24 H 0.946 0.342 0.471
25 H 0.284 0.700 0.424
26 H 0.806 0.141 0.843
27 H 0.749 0.547 0.295
28 H 0.643 0.660 0.254
29 H 0.199 0.163 0.417
30 H 0.280 0.724 0.039
31 H 0.582 0.184 0.958
32 H 0.054 0.842 0.029
33 H 0.798 0.440 0.466
34 H 0.125 0.451 0.880
35 H 0.875 0.951 0.620
36 H 0.138 0.161 0.211
37 H 0.798 0.060 0.966
38 H 0.862 0.839 0.789
39 H 0.125 0.049 0.380
40 H 0.357 0.160 0.246
41 H 0.054 0.658 0.529
42 H 0.357 0.340 0.746
43 H 0.801 0.837 0.583
44 H 0.202 0.940 0.034
45 H 0.716 0.300 0.576
46 H 0.194 0.641 0.657
47 H 0.720 0.224 0.461
48 H 0.418 0.816 0.042
49 H 0.251 0.453 0.705
50 H 0.138 0.339 0.711
51 H 0.326 0.434 0.917
52 H 0.806 0.359 0.343
53 H 0.582 0.316 0.458
54 H 0.199 0.337 0.917
55 H 0.643 0.840 0.754
56 H 0.875 0.549 0.120
57 H 0.674 0.566 0.083
58 H 0.946 0.158 0.971
59 H 0.194 0.859 0.157
60 H 0.862 0.661 0.289
61 H 0.202 0.560 0.534
62 H 0.251 0.047 0.205
63 H 0.280 0.776 0.539
64 H 0.716 0.200 0.076
65 N 0.297 0.796 0.014
66 N 0.778 0.902 0.627
67 N 0.297 0.704 0.514
68 N 0.703 0.296 0.486
69 N 0.222 0.402 0.873
70 N 0.703 0.204 0.986
71 N 0.222 0.098 0.373
72 N 0.778 0.598 0.127
73 C 0.178 0.864 0.062
74 C 0.822 0.136 0.938
75 C 0.243 0.382 0.750
76 C 0.757 0.882 0.750
77 C 0.822 0.364 0.438
78 C 0.243 0.118 0.250
79 C 0.757 0.618 0.250
80 C 0.178 0.636 0.562
81 Co 0.268 0.062 0.728
82 Co 0.732 0.562 0.772
83 Co 0.732 0.938 0.272
84 Co 0.268 0.438 0.228

- calculated volume (Å³/cell) = 1268
- formation energy from the elements (kJ per mole of atoms) = -40.6
- SG = P2_1/c (14)
- crystal system = monoclinic
Job:
Your job: quote the whole of the block further above word for word.
Outcome:
Here is crystalline MnBi at its relaxed geometry from the Materials Project database. Energies are from PBE.

Unit cell a=4.320 b=4.320 c=5.745 alpha=90.00 beta=90.00 gamma=120.00
Positions (direct):
1 Mn 0.000 0.000 0.500
2 Mn 0.000 0.000 0.000
3 Bi 0.333 0.667 0.750
4 Bi 0.667 0.333 0.250

- calculated volume (Å³/cell) = 93
- formation energy from the elements (kJ per mole of atoms) = 20.1
- SG = P6_3/mmc (194)
- crystal system = hexagonal

Here is crystalline CaSiO3 at its relaxed geometry from the Materials Project database. Energies are from PBE.

Unit cell a=5.115 b=5.115 c=5.115 alpha=120.47 beta=120.47 gamma=89.18
Positions (direct):
1 O 0.250 0.250 0.000
2 O 0.278 0.222 0.500
3 O 0.750 0.750 0.000
4 O 0.778 0.278 0.056
5 O 0.722 0.778 0.500
6 O 0.222 0.722 0.944
7 Ca 0.750 0.250 0.500
8 Ca 0.250 0.750 0.500
9 Si 0.000 0.000 0.000
10 Si 0.500 0.500 0.000

- calculated volume (Å³/cell) = 94
- formation energy from the elements (kJ per mole of atoms) = -309.4
- SG = I4/mcm (140)
- crystal system = tetragonal

Here is crystalline Cs2CuMoCl6 at its relaxed geometry from the Materials Project database. Energies are from PBE.

Unit cell a=7.227 b=7.227 c=7.227 alpha=60.00 beta=60.00 gamma=60.00
Positions (direct):
1 Cl 0.745 0.745 0.255
2 Cl 0.255 0.745 0.745
3 Cl 0.745 0.255 0.255
4 Cl 0.255 0.745 0.255
5 Cl 0.255 0.255 0.745
6 Cl 0.745 0.255 0.745
7 Cs 0.250 0.250 0.250
8 Cs 0.750 0.750 0.750
9 Cu 0.000 0.000 0.000
10 Mo 0.500 0.500 0.500

- calculated volume (Å³/cell) = 267
- formation energy from the elements (kJ per mole of atoms) = -150.9
- SG = Fm-3m (225)
- crystal system = cubic

Here is crystalline CoH12C2Br4N2 at its relaxed geometry from the Materials Project database. Energies are from PBE.

Unit cell a=8.204 b=13.409 c=11.599 alpha=90.00 beta=96.37 gamma=90.00
Positions (direct):
1 Br 0.245 0.617 0.233
2 Br 0.014 0.380 0.126
3 Br 0.692 0.635 0.580
4 Br 0.308 0.365 0.420
5 Br 0.014 0.120 0.626
6 Br 0.692 0.865 0.080
7 Br 0.308 0.135 0.920
8 Br 0.504 0.892 0.372
9 Br 0.755 0.117 0.267
10 Br 0.504 0.608 0.872
11 Br 0.245 0.883 0.733
12 Br 0.755 0.383 0.767
13 Br 0.986 0.880 0.374
14 Br 0.496 0.108 0.628
15 Br 0.986 0.620 0.874
16 Br 0.496 0.392 0.128
17 H 0.284 0.800 0.924
18 H 0.801 0.663 0.083
19 H 0.749 0.953 0.795
20 H 0.326 0.066 0.417
21 H 0.720 0.276 0.961
22 H 0.418 0.684 0.542
23 H 0.674 0.934 0.583
24 H 0.946 0.342 0.471
25 H 0.284 0.700 0.424
26 H 0.806 0.141 0.843
27 H 0.749 0.547 0.295
28 H 0.643 0.660 0.254
29 H 0.199 0.163 0.417
30 H 0.280 0.724 0.039
31 H 0.582 0.184 0.958
32 H 0.054 0.842 0.029
33 H 0.798 0.440 0.466
34 H 0.125 0.451 0.880
35 H 0.875 0.951 0.620
36 H 0.138 0.161 0.211
37 H 0.798 0.060 0.966
38 H 0.862 0.839 0.789
39 H 0.125 0.049 0.380
40 H 0.357 0.160 0.246
41 H 0.054 0.658 0.529
42 H 0.357 0.340 0.746
43 H 0.801 0.837 0.583
44 H 0.202 0.940 0.034
45 H 0.716 0.300 0.576
46 H 0.194 0.641 0.657
47 H 0.720 0.224 0.461
48 H 0.418 0.816 0.042
49 H 0.251 0.453 0.705
50 H 0.138 0.339 0.711
51 H 0.326 0.434 0.917
52 H 0.806 0.359 0.343
53 H 0.582 0.316 0.458
54 H 0.199 0.337 0.917
55 H 0.643 0.840 0.754
56 H 0.875 0.549 0.120
57 H 0.674 0.566 0.083
58 H 0.946 0.158 0.971
59 H 0.194 0.859 0.157
60 H 0.862 0.661 0.289
61 H 0.202 0.560 0.534
62 H 0.251 0.047 0.205
63 H 0.280 0.776 0.539
64 H 0.716 0.200 0.076
65 N 0.297 0.796 0.014
66 N 0.778 0.902 0.627
67 N 0.297 0.704 0.514
68 N 0.703 0.296 0.486
69 N 0.222 0.402 0.873
70 N 0.703 0.204 0.986
71 N 0.222 0.098 0.373
72 N 0.778 0.598 0.127
73 C 0.178 0.864 0.062
74 C 0.822 0.136 0.938
75 C 0.243 0.382 0.750
76 C 0.757 0.882 0.750
77 C 0.822 0.364 0.438
78 C 0.243 0.118 0.250
79 C 0.757 0.618 0.250
80 C 0.178 0.636 0.562
81 Co 0.268 0.062 0.728
82 Co 0.732 0.562 0.772
83 Co 0.732 0.938 0.272
84 Co 0.268 0.438 0.228

- calculated volume (Å³/cell) = 1268
- formation energy from the elements (kJ per mole of atoms) = -40.6
- SG = P2_1/c (14)
- crystal system = monoclinic